The recent passing of Rock Lake Conservation District supervisor David Johnson gives me pause in several ways. We are the same age. We graduated from high school in the same year. We both have connections to the land. We are both a part of our Washington State conservation community.
Losing someone you know is much more impactful than when people pass that you don’t know pass. David was well-liked by friends, by students, and by the people he worked with to conserve natural resources. It is remarkable that his farm was a 5th generation farm that now passes to the 6th generation. Read some comments left by those who knew him well in the guestbook related to his obituary.
What comes next are data records, not part of the page >
'''
Record 1
{"formula": "La4TePBr2", "functional": "PBE", "state": "relaxed", "mass_density_g_cm3": 6.0, "raw_formation_energy_ev_per_atom": -1.509, "e_tot_ev_per_cell": -43.68, "lattice": [[7.542, 0.000, 0.000], [0.000, 4.349, 0.000], [-2.549, 0.000, 7.418]], "species": ["La", "La", "La", "La", "Te", "P", "Br", "Br"], "fractional_positions": [[0.220, 0.000, 0.213], [0.236, 0.500, 0.778], [0.764, 0.500, 0.222], [0.780, 0.000, 0.787], [0.000, 0.000, 0.500], [0.000, 0.500, 0.000], [0.500, 0.000, 0.000], [0.500, 0.500, 0.500]]}

=====

Record 2
{"formula": "La6Te3P2Br", "functional": "PBE", "state": "relaxed", "mass_density_g_cm3": 6.1, "raw_formation_energy_ev_per_atom": -1.604, "e_tot_ev_per_cell": -70.73, "lattice": [[9.716, -2.191, 0.000], [9.716, 2.191, 0.000], [-2.204, 0.000, 8.723]], "species": ["La", "La", "La", "La", "La", "La", "Te", "Te", "Te", "P", "P", "Br"], "fractional_positions": [[0.014, 0.014, 0.252], [0.325, 0.325, 0.436], [0.331, 0.331, 0.885], [0.669, 0.669, 0.115], [0.675, 0.675, 0.564], [0.986, 0.986, 0.748], [0.162, 0.162, 0.834], [0.500, 0.500, 0.500], [0.838, 0.838, 0.166], [0.168, 0.168, 0.335], [0.832, 0.832, 0.665], [0.500, 0.500, 0.000]]}
'''
Back to the page >
I’m also impressed that students he once taught are weighing in with their positive memories. This also hits home for me because my spouse taught music from kindergarten through high school, and wherever we were, it seemed that students (current and past) would see her in a store and rush up to give her a big hug. In our conservation community, we often talk about leaving a legacy. Teachers do that every day with every student they are able to reach and teach. I’ve often thought that conservation districts are really community educators, bringing our strongly held philosophy of local governance and voluntary conservation to the people around us. The more people we can reach, the more conservation will get put on the ground.
┌──
## LaAgAs2 (PBE-GGA)

Data for LaAgAs2 after structural relaxation.

Properties
magnetic moment = 0.0 μB per cell
density = 7.3 Mg/m³
E_form = -1.41 eV/f.u.
VASP energy = -4.62 eV/atom
density of states at the Fermi level = 3.12 states/eV/f.u.

Cell: 3.192 4.066 6.959 Å, 90.00 90.00 90.00°
Space group Pmmm (No. 47)
Unique sites:
La1 0.000 0.000 0.000 [1 per cell]
Ag1 0.000 0.000 0.500 [1 per cell]
As1 0.500 0.500 0.268 [2 per cell]

~~~~~

(P)
This record from Alexandria via LeMat-Bulk describes a relaxed structure of Ce6Ga2Ge. The functional is PBE.

Lattice parameters (Å, degrees): 8.237 9.931 10.952 90.00 90.00 90.00
Space group Immm (No. 71)
One atom of each set of equivalent atoms:
Ce (0.000, 0.224, 0.172) [8 per cell]
Ce (0.168, 0.500, 0.257) [8 per cell]
Ce (0.231, 0.216, 0.500) [8 per cell]
Ga (0.000, 0.000, 0.377) [4 per cell]
Ga (0.153, 0.000, 0.000) [4 per cell]
Ge (0.000, 0.500, 0.000) [2 per cell]
Ge (0.000, 0.500, 0.500) [2 per cell]

Summary:
D(E_F) (states/eV/f.u.): 22.082
Spin magnetization (μB per cell): 10.8

(Q)
This record from Alexandria via LeMat-Bulk describes a relaxed structure of Ce6Ga2Ge. The functional is PBE.

Lattice parameters (Å, degrees): 8.7860 8.7860 2.9804 90.00 90.00 120.00
Space group P6/mmm (No. 191)
One atom of each set of equivalent atoms:
Ce (0.0000, 0.3334, 0.0000) [6 per cell]
Ga (0.3333, 0.6667, 0.5000) [2 per cell]
Ge (0.0000, 0.0000, 0.5000) [1 per cell]

Summary:
D(E_F) (states/eV/f.u.): 22.308
Spin magnetization (μB per cell): 1.6

Computed energies relative to the best structure, in kJ/mol of atoms: (P) 0.0; (Q) 2.7

(P)
This record from Alexandria via LeMat-Bulk describes a relaxed structure of Ce2GaGe2. The functional is PBE.

Lattice parameters (Å, degrees): 7.206 7.206 4.411 90.00 90.00 90.00
Space group P4/mbm (No. 127)
One atom of each set of equivalent atoms:
Ce (0.179, 0.321, 0.000) [4 per cell]
Ga (0.000, 0.000, 0.500) [2 per cell]
Ge (0.125, 0.625, 0.500) [4 per cell]

Summary:
D(E_F) (states/eV/f.u.): 9.573
Spin magnetization (μB per cell): 2.3

(Q)
This record from Alexandria via LeMat-Bulk describes a relaxed structure of Ce2GaGe2. The functional is PBE.

Lattice parameters (Å, degrees): 11.035 4.214 10.769 90.00 111.97 90.00
Space group C2/m (No. 12)
One atom of each set of equivalent atoms:
Ce (0.077, 0.000, 0.414) [4 per cell]
Ce (0.193, 0.500, 0.145) [4 per cell]
Ga (0.058, 0.500, 0.798) [4 per cell]
Ge (0.062, 0.000, 0.924) [4 per cell]
Ge (0.171, 0.500, 0.636) [4 per cell]

Summary:
D(E_F) (states/eV/f.u.): 9.554
Spin magnetization (μB per cell): 6.0

Computed energies relative to the best structure, in kJ/mol of atoms: (P) 0.6; (Q) 0.0

(P)
This record from Alexandria via LeMat-Bulk describes a relaxed structure of CeGaGe2. The functional is PBE.

Lattice parameters (Å, degrees): 4.390 4.390 4.213 90.00 90.00 90.00
Space group P4/mmm (No. 123)
One atom of each set of equivalent atoms:
Ce (0.000, 0.000, 0.000) [1 per cell]
Ga (0.500, 0.500, 0.000) [1 per cell]
└──
As I talk with people who knew David well, I am struck by three characteristics that David seemed to embody: kindness, courage, and conscience. David exhibited kindness in many venues. He demonstrated courage just by being a farmer, but he was courageous in other ways, too. His conscience came to the fore as he worked closely with the Rock Lake Conservation District board and staff, helping to expand programs and services available to producers in his community.
Teachers create legacies in all the people they reach. Conservation districts do the same, acting both to educate their neighbors and to put conservation practices to work on the ground.
It’s worth pausing for a moment to consider the legacy you will leave for future generations. What will they remember from your work today? How will it affect their lives? Will they support the concepts we believe in and carry them forward for those who come after them?
While reporting David’s passing is a sad moment for me, it also helps me remember what we are all trying to do in our daily work on the front lines of conservation. I hope some of David’s energy finds its way into your conservation work and helps you continue to achieve success in your local conservation work.
The piece is interrupted by records of crystals >
........
Record 1
Material: VH
Method: DFT, PBE
State: relaxed

Structure (POSCAR):
```
VH
1.0
-2.6494 2.6494 2.6494
2.6494 -2.6494 2.6494
2.6494 2.6494 -2.6494
V H
4 4
direct
0.0000 0.0000 0.4058
0.0000 0.4058 0.0000
0.4058 0.0000 0.0000
0.5942 0.5942 0.5942
0.0000 0.0000 0.7647
0.0000 0.7647 0.0000
0.2353 0.2353 0.2353
0.7647 0.0000 0.0000
```

The symmetry is I-43m (217).

=====

Record 2
Material: VH
Method: DFT, PBE
State: relaxed

Structure (POSCAR):
```
VH
1.0
8.1586 0.0000 0.0000
0.0000 2.6652 0.0000
0.0000 0.0000 4.4175
V H
6 6
direct
0.0000 0.0202 0.0000
0.1654 0.3471 0.4606
0.3346 0.6529 0.9606
0.5000 0.9798 0.5000
0.6654 0.6529 0.9606
0.8346 0.3471 0.4606
0.0000 0.5039 0.7111
0.2019 0.1449 0.8442
0.2981 0.8551 0.3442
0.5000 0.4961 0.2111
0.7019 0.8551 0.3442
0.7981 0.1449 0.8442
```

The symmetry is Pmn2_1 (31).

=====

Record 3
Material: VH
Method: DFT, PBE
State: relaxed

Structure (POSCAR):
```
VH
1.0
4.9455 0.0000 0.0000
0.0000 4.9455 0.0000
0.0000 0.0000 4.9455
V H
6 6
direct
0.0000 0.2500 0.5000
0.0000 0.7500 0.5000
0.2500 0.5000 0.0000
0.5000 0.0000 0.2500
0.5000 0.0000 0.7500
0.7500 0.5000 0.0000
0.0000 0.5000 0.2500
0.0000 0.5000 0.7500
0.2500 0.0000 0.5000
0.5000 0.2500 0.0000
0.5000 0.7500 0.0000
0.7500 0.0000 0.5000
```

The symmetry is Pm-3n (223).

=====

Record 4
Material: VH3
Method: DFT, PBE
State: relaxed

Structure (POSCAR):
```
VH3
1.0
-1.3617 1.3617 3.0281
1.3617 -1.3617 3.0281
1.3617 1.3617 -3.0281
V H
1 3
direct
0.0000 0.0000 0.0000
0.3133 0.3133 0.0000
0.5000 0.5000 0.0000
0.6867 0.6867 0.0000
```

The symmetry is I4/mmm (139).

=====

Record 5
Material: V4H
Method: DFT, PBE
State: relaxed

Structure (POSCAR):
```
V4H
1.0
3.8585 0.0000 0.0000
0.0000 3.8585 0.0000
0.0000 0.0000 3.8585
V H
4 1
direct
0.0000 0.0000 0.0000
0.0000 0.5000 0.5000
0.5000 0.0000 0.5000
0.5000 0.5000 0.0000
0.5000 0.5000 0.5000
```

The symmetry is Pm-3m (221).

=====

Record 6
Material: VH
Method: DFT, PBE
State: relaxed

Structure (POSCAR):
```
VH
1.0
7.0234 0.0000 0.0000
-3.5117 6.0825 0.0000
0.0000 0.0000 2.9493
V H
6 6
direct
0.1368 0.6572 0.2500
0.3428 0.4796 0.2500
0.4796 0.1368 0.7500
0.5204 0.8632 0.2500
0.6572 0.5204 0.7500
0.8632 0.3428 0.7500
0.0313 0.3533 0.2500
0.3219 0.9687 0.2500
0.3533 0.3219 0.7500
0.6467 0.6781 0.2500
0.6781 0.0313 0.7500
0.9687 0.6467 0.7500
```

The symmetry is P6_3/m (176).

=====

Record 7
Material: V4H5
Method: DFT, PBE
State: relaxed

Structure (POSCAR):
```
V4H5
1.0
4.8277 -2.9341 0.0000
4.8277 2.9341 0.0000
-0.4973 0.0000 2.5677
V H
4 5
direct
0.0740 0.6634 0.7665
0.3366 0.9260 0.2335
0.6634 0.0740 0.7665
0.9260 0.3366 0.2335
0.0000 0.0000 0.5000
0.2337 0.2337 0.7543
0.3515 0.6485 0.5000
0.6485 0.3515 0.5000
0.7663 0.7663 0.2457
```

The symmetry is C2/m (12).

=====

Record 8
Material: V7H5
Method: DFT, PBE
State: relaxed

Structure (POSCAR):
```
V7H5
1.0
4.4575 -1.2769 0.0000
4.4575 1.2769 0.0000
-2.1487 0.0000 9.2645
V H
7 5
direct
0.0000 0.0000 0.0000
0.1494 0.1494 0.5711
0.2194 0.2194 0.8593
........
All of us at WACD are saddened by David’s passing and our thoughts are with his family and friends.
Editor’s note: Many contributors to the success of Washington State’s conservation district are memorialized in the Washington Conservation Society‘s Leaving a Legacy book. We invite you to view the book and consider supporting the good work of the Society!